_Entries_
'''
The following is a quantum chemistry calculation of a molecular structure, C6H14ClN2NiO2 in a non-equilibrium geometry, from the Open Molecules 2025 dataset.

CARTESIAN COORDINATES (ANGSTROEM)
Ni -1.719 -2.911 -0.864
Cl -2.063 -1.136 -0.311
C -1.267 3.988 2.236
C -1.045 3.370 0.825
O -0.235 3.939 0.104
N -1.429 2.150 0.557
C -1.229 1.459 -0.725
H -1.906 4.865 2.335
H -0.294 4.337 2.580
H -1.611 3.295 3.004
H -1.777 1.556 1.295
H -0.235 1.014 -0.694
H -1.187 2.132 -1.581
H -1.956 0.657 -0.859
C 0.733 -1.048 0.461
C 0.775 -2.220 -0.550
O -0.258 -2.745 -0.944
N 1.978 -2.596 -0.971
C 2.384 -3.780 -1.721
H -0.280 -0.882 0.827
H 1.035 -0.090 0.038
H 1.534 -1.103 1.199
H 2.699 -2.117 -0.450
H 3.235 -3.389 -2.278
H 1.574 -4.068 -2.391
H 2.544 -4.675 -1.120

For the energy relative to the best compared isomer or geometry (same formula, charge and spin), the calculation gives 114.2 kcal/mol. The multiplicity is 3. The charge is +1. The value obtained for the HOMO energy (alpha / beta) is -11.63 / -11.63 eV.

=====

The following is a quantum chemistry calculation of C8H4N2O2 in the gas phase in a non-equilibrium geometry, from the Open Molecules 2025 dataset.

CARTESIAN COORDINATES (ANGSTROEM)
N -4.213 -1.065 -0.064
C -3.239 -0.405 0.042
C -1.881 -0.001 0.064
C -1.556 1.391 0.328
C -0.168 1.906 -0.021
C 0.772 0.948 -0.316
O 2.027 1.004 -0.177
C 2.539 -0.459 0.181
O 3.663 -0.796 0.200
N 1.435 -1.151 0.060
C 0.380 -0.297 -0.163
C -0.856 -0.935 -0.096
H -2.451 2.046 0.596
H -0.266 2.997 -0.245
H 1.513 -2.077 -0.617
H -0.824 -2.011 -0.001

For the energy relative to the best compared isomer or geometry (same formula, charge and spin), the calculation gives 23.3 kcal/mol. The multiplicity is 1. The value obtained for the HOMO energy is -9.19 eV. The structure (SMILES) is N#Cc1ccc2oc(=O)[nH]c2c1.

=====

The following is a quantum chemistry calculation of C5H7NO in the gas phase, from the Open Molecules 2025 dataset.

CARTESIAN COORDINATES (ANGSTROEM)
C -0.552 2.552 -0.274
C -0.419 1.083 -0.638
O -0.680 0.714 -1.778
C 0.031 0.163 0.389
C 0.123 -1.145 0.037
C 0.063 -2.294 -0.640
N 0.656 -2.350 0.751
H 0.257 3.108 -0.760
H -0.504 2.734 0.803
H -1.496 2.934 -0.672
H 0.252 0.485 1.400
H 0.524 -2.730 -1.510
H 0.112 -2.798 1.483
H 1.660 -2.345 0.933

For the energy relative to the best compared isomer or geometry (same formula, charge and spin), the calculation gives 88.2 kcal/mol. The multiplicity is 1. The value obtained for the HOMO energy is -7.64 eV. The structure (SMILES) is C/C([O-])=C/C1=C[NH2+]1.

=====

The following is a quantum chemistry calculation of 10 unconnected molecules or ions with the total composition C48H123N7O19 in a non-equilibrium geometry, from the Open Molecules 2025 dataset.

CARTESIAN COORDINATES (ANGSTROEM)
C -1.528 2.324 3.507
O -2.108 1.522 2.583
C -3.534 1.533 2.492
C -4.142 0.786 1.325
N -4.223 -0.667 1.421
C -2.893 -1.244 1.536
C -2.943 -2.664 1.905
O -3.204 -2.810 3.252
C -3.176 -4.140 3.716
H -1.749 2.085 4.547
H -1.739 3.391 3.434
H -0.442 2.287 3.419
H -3.976 2.511 2.300
H -4.067 1.113 3.345
H -3.701 1.082 0.373
H -5.168 1.118 1.169
H -4.767 -0.903 2.239
H -2.225 -0.835 2.293
H -2.448 -1.142 0.546
H -2.004 -3.156 1.652
H -3.714 -3.207 1.359
H -2.159 -4.527 3.779
H -3.712 -4.816 3.050
H -3.590 -4.294 4.712
C -1.032 -3.147 -1.524
O -1.599 -2.557 -2.717
C -1.080 -2.984 -4.004
C -0.995 -4.508 -4.096
N 0.273 -5.110 -3.884
C 0.137 -6.583 -4.193
C 1.473 -7.364 -4.194
O 2.423 -7.019 -5.212
C 2.011 -7.258 -6.566
H -1.439 -2.570 -0.693
H 0.048 -3.055 -1.413
H -1.287 -4.199 -1.396
H -0.135 -2.472 -4.186
H -1.766 -2.665 -4.789
H -1.309 -4.756 -5.110
H -1.723 -4.960 -3.422
H 0.932 -4.727 -4.547
H -0.264 -6.730 -5.196
H -0.590 -7.078 -3.549
H 1.254 -8.411 -4.408
H 1.935 -7.339 -3.207
H 2.958 -7.222 -7.103
H 1.244 -6.518 -6.791
H 1.538 -8.234 -6.676
C -0.683 -6.683 1.212
O 0.590 -6.214 1.712
C 0.867 -4.964 1.097
C 2.254 -4.418 1.487
N 2.625 -3.253 0.659
C 3.914 -2.638 1.010
C 5.171 -3.537 0.762
O 5.214 -4.201 1.998
'''

_To do_
Count the lines further up that contain the word "is" and give the number alone.

_Result_
7